The Good Lord…
He Giveth…
Today was awesome. So awesome. Ridiculously awesome. Best day since we’ve been back. Today was Sabbath. Our day to escape the hospital. We went back to Nangjere for the first time since our return to Tchad ten days ago. And it was so much fun. We sang all the songs we had translated into French and Nancere. We prayed. We told Bible stories. We high-fived. We blew a tire, but we didn’t care. We just changed it and moved on. We went and did the same thing in Guissa Goro. Then we went to Moungoulou and did it all over again. So very much fun.
And here’s the best part… We discovered we’re useless! We aren’t needed any more! This is awesome!!! During our two-month absence, the youth of the church continued going out to the each village several times each week. People from the villages attended Jonathan’s Bible classes. They were baptized. The pastor, who had thought we were rebels and wanted to start a competing church, had at one point forbid me from going out to the villages and telling Bible stories. Well, he finally agreed to come visit and came several times and was dutifully impressed with what the kids were doing in these villages. What were once perceived as joyrides for kids, are now respected evangelistic efforts. And supported efforts! The chiefs of the villages are giving us lands for churches and now with the pastor on board, they are finally breaking ground! Well, not exactly breaking ground, but ready to use the lands. Now that the pastor is backing them up, they are building wood and cloth and grass mat churches. And the elders are getting involved in it too! Pierre has been faithfully going out to preach whenever he isn’t schedule in church. They have enough coming now interested in earnestly learning, they are now splitting the groups into kids and adults. The adults are going through pretty earnest Bible studies and the kids are so enthusiastic and attentive. These villages are now getting to the point they are ready for genuine evangelistic efforts! In the meantime, we will buy some mats and benches and drums for the churches! What the youth (and some older folks too!) are doing here in Bere is just so exciting. PLEASE pray for them young men (and a few women!) who are telling the story of Jesus several times a week. They get nothing for this. They do it purely out of love.
### Records of molecules that have nothing to do with the entry
+++
122
Properties=species:S:1:pos:R:3:forces:R:3:mulliken_charge:R:1 method="wB97M-V/def2-TZVPD" e_tot_ev=-284277.8613 multiplicity=2 lumo_energy_ev="-4.9 / -9.3" homo_lumo_gap_ha="0.2636 / 0.1009" e_homo_ev="-12.086 / -12.086" total_charge=+1 max_force_ha_per_bohr=0.091
Br -0.057674 -0.470562 1.272668 -0.4 -0.3 -0.6 0.3318
C -0.468281 -0.488480 -0.641860 0.0 -0.7 -0.2 0.7732
C 0.341866 -1.584219 -1.389362 -0.7 1.3 0.8 -0.6975
Br -0.466710 -3.347287 -0.983978 0.8 0.4 0.1 0.2797
H -0.312560 0.554912 -0.916081 0.5 -0.3 -0.6 -0.0762
H -1.525408 -0.669031 -0.836725 -0.1 0.0 0.5 -0.3373
H 1.382069 -1.607138 -1.064490 0.0 -0.4 -0.3 0.2762
H 0.241467 -1.517908 -2.472704 0.2 0.0 0.0 0.5619
O 5.107217 0.094022 -0.706710 0.5 0.8 -0.8 -0.5838
S 5.149197 -0.394581 0.626220 0.8 -0.1 0.8 1.1489
O 5.786853 -1.689991 0.791418 -0.5 1.5 0.7 -0.6718
O 5.640427 0.758566 1.730997 -0.7 -1.2 -0.7 -0.2611
C 6.960145 1.277450 1.658216 2.0 -0.4 -1.2 -0.4679
C 6.999687 2.509986 0.767270 -0.9 0.5 0.8 -0.8747
C 3.526642 -0.327747 1.246539 0.1 -0.4 -0.2 -0.5219
H 7.580496 0.459803 1.291176 0.3 0.0 -0.2 0.3361
H 7.391229 1.502093 2.633815 -0.7 -0.1 0.3 0.3398
H 6.351652 3.194384 1.314761 -0.6 0.3 -0.4 0.2268
H 6.591368 2.299302 -0.221158 0.1 0.1 0.1 0.2031
H 7.903661 3.117792 0.728490 0.5 -0.8 -0.1 0.4230
H 3.040609 -1.198548 0.806579 -0.1 -0.2 0.6 0.1384
H 3.052699 0.560125 0.828006 0.2 0.1 0.3 0.1495
H 3.701004 -0.288997 2.321803 -0.9 -0.3 0.0 0.4670
O -1.776648 2.362433 3.709160 -0.5 1.3 1.0 -0.3847
S -1.346481 3.702662 4.099475 1.0 0.4 1.0 0.9450
O -1.192680 4.157701 5.504777 -1.2 -1.3 -2.9 -0.6541
O 0.119831 3.780416 3.471107 -2.1 1.8 -0.2 -0.1871
C 1.173769 3.118022 4.040221 2.3 -2.1 1.0 -0.8170
C 1.626565 2.225660 2.913862 2.0 0.6 -0.7 -0.2082
C -2.016818 5.063370 3.037578 0.1 -0.8 1.4 -0.9044
H 1.065052 2.465836 4.906779 -1.3 0.3 0.3 0.3760
H 1.916851 3.824990 4.409199 0.2 0.2 -0.6 0.3553
H 1.097420 1.285649 2.757413 -0.4 0.7 0.1 -0.0827
H 2.683123 1.957784 2.919895 0.2 -0.1 0.6 0.3592
H 1.611265 2.945861 2.095832 -0.4 -0.7 -0.7 0.0813
H -2.110891 4.772294 1.991385 0.4 -0.1 0.2 0.2473
H -1.276342 5.823241 3.287346 -0.1 0.2 -0.5 0.3825
H -2.993027 5.369360 3.413724 0.1 -0.2 0.1 0.3989
O -3.704673 3.713804 0.158068 -0.4 0.2 0.2 -0.6274
S -4.364670 2.847125 1.083846 -1.8 -1.0 1.5 1.2182
O -4.715600 3.249063 2.468464 0.7 -0.6 -3.0 -0.6550
O -5.766989 2.277391 0.287591 1.8 1.8 1.8 -0.3237
C -6.898525 1.904082 1.116498 -0.5 -2.8 -0.2 -0.0473
C -7.323910 0.551349 0.483605 -0.3 0.7 0.8 -0.7690
C -3.337036 1.359908 1.153546 -0.1 0.0 -0.1 -0.2724
H -7.754399 2.573639 1.201843 0.6 0.7 -0.5 0.3225
H -6.648211 1.567067 2.122414 0.7 0.8 0.1 0.0628
H -7.887834 0.705696 -0.436313 0.4 -0.3 -0.2 0.3373
H -7.931733 -0.008051 1.194759 -0.2 0.2 -0.1 0.3839
H -6.400819 -0.025559 0.427256 -0.1 -0.1 -0.6 -0.0696
H -2.308484 1.669457 0.968210 -0.1 0.3 0.2 0.3017
H -3.606809 0.682591 0.343250 -0.3 0.1 0.1 0.1258
H -3.396166 0.890170 2.135354 -0.2 0.1 -0.2 -0.0475
+++
### The records of molecules stop here
Today we had some more selfish fun too. We got to pass out a few of the GodPods we bought! We even stopped by our friends in the Muslim village and gave the imam a GodPod of the New Testament in Chadian Arabic. So cool. They were listening to it when we left them. Danae also bought more literature while we were in America, but we haven’t started passing that out yet. Maybe next week.
We even took a little time after lunch to go swimming in the river, drive through the sacred forest and climb up a big ol’ tree.
Sometimes, He giveth so rootin’ tootin’ much… But then…
He Taketh Away…
While ruminating on how incredible of a day it was, there was a knock on the door. Danae’s patient died. Not just any patient. A patient Danae operated on many times. For free. Danae had been feeding her for a while now, trying to get her to fatten up. She was so skinny. She just kept wasting away despite it all. At about 8pm Danae went up to the hospital to give her condolences to the family. She also paid for them to be able to get the body back to their home village (several hours away). It was a patient Danae had given a Mesme GodPod to just this last week. Life is just so tenuous here. It’s now midnight and I still can’t sleep. It occasionally doesn’t seem fair. But we were never promised fair. My dear wife has the purest conscience I know and can always sleep no matter what. I’ll put my wife’s medical skills, surgical skills, compassion, love and Christ-focused nature up against anybody’s. But even that can’t save them all. Edith was suffering. She was ready. She had made her peace. It seems she willed her way out, assured of her Paradise.
........
Formula: C32H44N7O2PPtSTe
Source: the OMol25 dataset
Level of theory: wB97M-V/def2-TZVPD

Maximum force = 1.51 eV/Å
Total charge = +2
HOMO (alpha / beta) = -11.74 / -11.74 eV
Orbital gap (alpha / beta) = 4.78 / 4.72 eV
LUMO energy (alpha / beta) = -6.951 / -7.018 eV

Cartesian coordinates (Å):
Pt  -0.929  0.940  0.496
C  -5.299  2.481  0.812
C  -3.799  2.474  1.100
C  -3.288  3.822  1.628
P  -2.763  1.945  -0.329
C  -2.504  3.303  -1.530
C  -3.759  4.072  -1.945
C  -1.778  2.711  -2.743
C  -3.570  0.568  -1.149
C  -4.739  0.643  -1.926
C  -5.244  -0.461  -2.578
C  -6.495  -0.382  -3.416
C  -4.548  -1.668  -2.444
C  -3.412  -1.773  -1.668
C  -2.907  -0.648  -1.002
N  -1.754  -0.675  -0.242
C  -1.153  -1.873  0.179
C  0.069  -2.260  -0.377
C  0.587  -1.536  -1.597
C  0.699  -3.384  0.151
C  0.100  -4.215  1.093
C  0.744  -5.467  1.635
C  -1.158  -3.845  1.561
C  -1.780  -2.670  1.158
C  -3.110  -2.280  1.737
H  -5.838  2.755  1.720
H  -5.644  1.498  0.498
H  -5.565  3.203  0.041
H  -3.594  1.708  1.853
H  -3.592  4.644  0.981
H  -2.198  3.836  1.701
H  -3.696  4.014  2.621
H  -1.816  3.986  -1.019
H  -4.481  3.430  -2.444
H  -3.466  4.846  -2.655
H  -4.247  4.568  -1.109
H  -2.406  1.982  -3.256
H  -0.847  2.227  -2.448
H  -1.535  3.511  -3.443
H  -5.270  1.581  -2.020
H  -6.875  0.637  -3.473
H  -7.281  -1.013  -2.999
H  -6.307  -0.739  -4.429
H  -4.906  -2.544  -2.973
H  -2.883  -2.716  -1.595
H  0.483  -0.457  -1.497
H  -0.009  -1.837  -2.461
H  1.627  -1.766  -1.818
H  2.255  -4.573  -0.668
H  1.712  -5.689  1.193
H  0.089  -6.322  1.469
H  0.888  -5.378  2.713
H  -1.651  -4.491  2.279
H  -3.212  -2.660  2.754
H  -3.922  -2.705  1.143
H  -3.240  -1.198  1.736
N  -0.376  0.317  2.874
N  -0.181  1.552  3.511
C  0.200  2.642  2.795
N  0.645  3.695  3.458
N  0.116  2.518  1.468
N  0.611  3.543  0.632
O  0.638  3.276  -0.537
O  0.974  4.605  1.113
H  -1.242  -0.104  3.189
H  0.398  -0.310  3.076
H  -0.001  1.553  4.505
H  0.673  3.713  4.464
H  0.856  4.529  2.924
C  6.817  0.194  -0.671
Te  5.401  -0.649  -2.025
C  6.362  -2.509  -1.638
C  7.589  -2.196  -0.815
C  8.506  -3.201  -0.513
C  9.639  -2.912  0.225
C  9.866  -1.615  0.671
C  8.954  -0.615  0.385
C  7.810  -0.901  -0.356
H  6.293  0.532  0.223
H  7.291  1.057  -1.134
H  6.609  -3.003  -2.576
H  5.671  -3.164  -1.097
H  8.330  -4.210  -0.867
H  10.353  -3.694  0.444
H  10.761  -1.383  1.233
H  9.136  0.398  0.723
S  3.667  -1.564  0.401
C  3.058  -2.879  -0.032
N  2.069  -3.666  -0.251

Formula: C3H8NO2
Source: the OMol25 dataset
Level of theory: wB97M-V/def2-TZVPD

Maximum force = 5.26 eV/Å
Total charge = +1
HOMO = -14.85 eV
Orbital gap = 10.71 eV
LUMO energy = -4.136 eV

Cartesian coordinates (Å):
C  0.097  -0.438  0.274
C  0.220  0.788  -0.568
C  -1.283  -0.602  0.776
N  1.632  0.682  -1.043
O  1.021  -1.218  0.384
O  -1.369  -1.229  1.984
H  0.248  1.908  -0.159
H  -0.517  0.654  -1.273
H  -1.755  0.392  0.620
H  -1.763  -1.327  0.019
H  1.870  -0.248  -0.422
H  2.278  1.546  -0.733
........
The calculated molecules stop here.
Sometimes His taking is out of mercy and love, taking from a fallen world He never intended to fall so far.
Sometimes He taketh away…